Home Screen: Sam Spurlin


Lately, I’ve been reading Sam Spurlin’s blog. (Website) (Twitter) Sam has some great content and I like his voice. Sam’s also got an iPhone and some definite thoughts about his home screen. So Sam, show us your home screen.


What are some of favorite apps?

My hands down favorite app right now (and has been for a long time) is Instapaper. I’m a Ph.D student so I spend a ton of time reading things for class and research which means I don’t have a lot of time to sit down and read other, fun, things. Instapaper is almost single handedly responsible for keeping me a semi-rounded individual. I’m very good about throwing interesting articles I see into the app and I love that I can use weird snippets of time to work through a personal reading list. I’ve also really been enjoying Circa for kind of the same reason, actually. I like how well summarized and broken down the articles are. You can tell there is some serious thought and care taken to do that well. The app is also just really well-designed and fun to use. (D-Nice find)

Which app is your guilty pleasure?

# Attached: crystal structures
+++
Here is SrZr2Mn at its PBEsol-relaxed geometry from Alexandria. Energies are from meta-GGA SCAN.

The excess energy over the best structure of this formula in the dataset is 0.0392 eV/atom. Its crystal system is orthorhombic. Its calculated formation energy is 0.511 eV/atom. The density of states at the Fermi level comes out at 3.7 states/eV/f.u. For the raw total energy, the calculation gives -1.8354 Ry per atom.

It has space group Pmmm (No. 47), with a = 3.7400 Å, b = 4.7882 Å, c = 5.1172 Å, α = 90.00°, β = 90.00° and γ = 90.00°. Symmetry generates all atoms from Sr at (0.0000, 0.0000, 0.0000), Zr at (0.0000, 0.5000, 0.5000), Zr at (0.5000, 0.0000, 0.5000) and Mn at (0.5000, 0.5000, 0.0000).

Here is NbHSeBr2 at its PBEsol-relaxed geometry from Alexandria. Energies are from meta-GGA SCAN.

Its crystal system is tetragonal. The density of states at the Fermi level comes out at 1.3 states/eV/f.u. For the raw total energy, the calculation gives -1.4054 Ry per atom.

It has space group P4/mmm (No. 123), with a = 5.1641 Å, b = 5.1641 Å, c = 4.9226 Å, α = 90.00°, β = 90.00° and γ = 90.00°. Symmetry generates all atoms from Nb at (0.0000, 0.0000, 0.0000), H at (0.5000, 0.5000, 0.5000), Se at (0.0000, 0.0000, 0.5000) and Br at (0.0000, 0.5000, 0.0000).

Here is Sr2Ni at its PBEsol-relaxed geometry from Alexandria. Energies are from meta-GGA SCAN.

Its crystal system is trigonal. Its calculated formation energy is 0.150 eV/atom. The density of states at the Fermi level comes out at 0.9 states/eV/f.u. For the raw total energy, the calculation gives -1.4767 Ry per atom.

It has space group P-3m1 (No. 164), with a = 4.1899 Å, b = 4.1899 Å, c = 6.8854 Å, α = 90.00°, β = 90.00° and γ = 120.00°. Symmetry generates all atoms from Sr at (0.3333, 0.6667, 0.2667) and Ni at (0.0000, 0.0000, 0.5000).

Here is Zn2FeAs at its PBEsol-relaxed geometry from Alexandria. Energies are from meta-GGA SCAN.

Its crystal system is trigonal. Its calculated formation energy is 0.115 eV/atom. The density of states at the Fermi level comes out at 1.6 states/eV/f.u. For the raw total energy, the calculation gives -1.1924 Ry per atom.

It has space group R3m (No. 160, hexagonal axes), with a = 2.8601 Å, b = 2.8601 Å, c = 24.0664 Å, α = 90.00°, β = 90.00° and γ = 120.00°. Symmetry generates all atoms from Zn at (0.0000, 0.0000, 0.0000), Zn at (0.0000, 0.0000, 0.2456), Fe at (0.0000, 0.0000, 0.4990) and As at (0.0000, 0.0000, 0.7648).

~~~~~

# 1
IrPbN2 | PBE-GGA | relaxed

Geometry as POSCAR:
```
IrPbN2
1.0
1.858 0.000 6.719
-0.929 1.609 6.719
-0.929 -1.609 6.719
Pb Ir N
1 1 2
Direct
0.000 0.000 0.000
0.500 0.500 0.500
0.879 0.879 0.879
0.121 0.121 0.121
```

Computed properties:
- E (eV per formula unit) = -26.36
- symmetry = No. 166
- formation energy from raw total energies (eV/f.u.) = 2.86

---

# 2
IrPbSN2 | PBE-GGA | relaxed

Geometry as POSCAR:
```
IrPbSN2
1.0
-2.260 3.008 1.095
-1.665 0.040 -3.547
-3.655 -3.357 1.677
Pb N Ir S
1 2 1 1
Direct
0.500 0.500 0.500
+++

Probably Facebook at this point. It seems to be one of the main ways my classmates like to communicate so I’m obligated to keep it around to some degree. It’s also a good way to stay in touch with my family on the other side of the country. It has become much more bearable ever since I unfollowed almost everybody who I wasn’t “real” friends with. Now my News Feed is (mostly) filled with updates from people I actually care about. I suppose my other one is the NHL’s video streaming app, NHL GameCenter. I’m a huge hockey fan and it’s nice to be able to catch a Red Wing’s game if I’m stuck in a lecture…I mean, not near my computer for a completely legitimate reason 🙂

What is the app you are still missing?

This is where I make a corny joke about an app that will write research papers or do my homework, right? While I love Mendeley for PDF storage/citation management on my Mac, the iPhone app is pretty terrible — to the point where it’s basically missing. I eventually plan on getting an iPad or iPad mini and at that point I’m going to have to figure out an app or system of apps to keep the PDFs I read and annotate/highlight on my computer automatically synced with my iOS devices. I’m sure there is something out there that will work great but I haven’t spent the time to figure it out, yet.

Someone pasted records of crystals at this point.
____________
1.
# NdSnHgPt

A relaxed NdSnHgPt crystal (PBE, the Alexandria database).

extended XYZ file:
```
4
Lattice="0.000 3.590 3.590 3.590 0.000 3.590 3.590 3.590 0.000" Properties=species:S:1:pos:R:3 pbc="T T T"
Nd 0.000 0.000 0.000
Sn 3.590 3.590 3.590
Hg 1.795 1.795 1.795
Pt 5.385 5.385 5.385
```

Summary:
Symmetry: No. 216



2.
# Nd2Sn3HgPt4

A relaxed Nd2Sn3HgPt4 crystal (PBE, the Alexandria database).

extended XYZ file:
```
10
Lattice="4.552 0.000 0.000 0.000 4.552 0.000 0.000 0.000 10.971" Properties=species:S:1:pos:R:3 pbc="T T T"
Nd 0.000 2.276 2.730
Nd 2.276 0.000 8.241
Sn 0.000 2.276 9.585
Sn 2.276 0.000 1.386
Sn 2.276 2.276 5.486
Hg 0.000 0.000 5.486
Pt 0.000 0.000 0.000
Pt 0.000 2.276 7.022
Pt 2.276 0.000 3.949
Pt 2.276 2.276 0.000
```

Summary:
Symmetry: No. 115



3.
# TbNdHgPt

A relaxed TbNdHgPt crystal (PBE, the Alexandria database).

extended XYZ file:
```
4
Lattice="0.000 3.668 3.668 3.668 0.000 3.668 3.668 3.668 0.000" Properties=species:S:1:pos:R:3 pbc="T T T"
Tb 0.000 0.000 0.000
Nd 3.668 3.668 3.668
Hg 5.502 5.502 5.502
Pt 1.834 1.834 1.834
```

Summary:
Symmetry: No. 216



4.
# NdTlHgPt

A relaxed NdTlHgPt crystal (PBE, the Alexandria database).

extended XYZ file:
```
4
Lattice="0.000 3.624 3.624 3.624 0.000 3.624 3.624 3.624 0.000" Properties=species:S:1:pos:R:3 pbc="T T T"
Nd 0.000 0.000 0.000
Tl 3.624 3.624 3.624
Hg 5.436 5.436 5.436
Pt 1.812 1.812 1.812
```

Summary:
Symmetry: No. 216



5.
# Nd2Zn2HgPt5

A relaxed Nd2Zn2HgPt5 crystal (PBE, the Alexandria database).

extended XYZ file:
```
20
Lattice="9.808 0.000 0.000 0.000 9.808 0.000 0.000 0.000 3.894" Properties=species:S:1:pos:R:3 pbc="T T T"
Nd 1.753 3.151 0.000
Nd 3.151 8.055 0.000
Nd 6.656 1.753 0.000
Nd 8.055 6.656 0.000
Zn 1.162 6.066 0.000
Zn 3.742 1.162 0.000
Zn 6.066 8.645 0.000
Zn 8.645 3.742 0.000
Hg 0.000 0.000 0.000
Hg 4.904 4.904 0.000
Pt 0.000 4.904 1.947
Pt 0.634 7.743 1.947
Pt 2.065 0.634 1.947
Pt 2.839 5.538 1.947
Pt 4.270 2.839 1.947
Pt 4.904 0.000 1.947
Pt 5.538 6.968 1.947
Pt 6.968 4.270 1.947
Pt 7.743 9.173 1.947
Pt 9.173 2.065 1.947
```

Summary:
Symmetry: No. 127



6.
# Nd2Zn3HgPt4

A relaxed Nd2Zn3HgPt4 crystal (PBE, the Alexandria database).

extended XYZ file:
```
10
Lattice="4.115 0.000 0.000 0.000 4.115 0.000 0.000 0.000 11.728" Properties=species:S:1:pos:R:3 pbc="T T T"
Nd 0.000 2.058 2.803
Nd 2.058 0.000 8.924
Zn 0.000 2.058 10.226
Zn 2.058 0.000 1.502
Zn 2.058 2.058 5.864
Hg 0.000 0.000 5.864
Pt 0.000 0.000 0.000
Pt 0.000 2.058 7.735
Pt 2.058 0.000 3.992
Pt 2.058 2.058 0.000
```

Summary:
Symmetry: No. 115



7.
# NdZnHgPt

A relaxed NdZnHgPt crystal (PBE, the Alexandria database).

extended XYZ file:
```
4
Lattice="0.000 3.500 3.500 3.500 0.000 3.500 3.500 3.500 0.000" Properties=species:S:1:pos:R:3 pbc="T T T"
Nd 0.000 0.000 0.000
Zn 3.500 3.500 3.500
Hg 1.750 1.750 1.750
Pt 5.250 5.250 5.250
```

Summary:
Symmetry: No. 216



8.
# NdPuHg4

A relaxed NdPuHg4 crystal (PBE, the Alexandria database).

extended XYZ file:
```
6
____________

What is your favorite feature of the iPhone/iPad?

I have an iPhone 5 and I love how thin it is. I upgraded from a 3GS so the difference between the two was striking. My phone is the hub of much of my productive life (Fantastical, Things, and Evernote being the main trifecta) as well as much of my leisure time (Instapaper, Reeder, Twitter, Comixology, Letterpress, etc.). Being able to always have it in my pocket and not feel oppressed by its size or weight is important to the way I use it.

Anything else you’d like to share?

I don’t remember where I originally read this or if it was some kind of original thought, but I try to use my home screen as inspiration. I look at my phone many, many times every day and I decided that I want the apps that help me be a better person or create something new in the world to be what I see most often. That’s why I keep WriteRoom, Drafts, and Ink where I do. Instead of turning on my phone and being greeted by a bunch of games or mindless social networks I wanted to see apps that require me to engage with them on a little bit more intellectual level. Even if I’m not turning to my phone to draft an article or sketch a picture, keeping those apps front and center help me keep my mind on the fact that this phone can be a powerful tool if I decide to engage with it properly. I’m obviously getting away from this somewhat (see Facebook, Twitter, Flipboard, etc.), but it’s something I try to be mindful of.

Thanks Sam